Now echo the block below word for word.
********
1.
Here is one molecule with the formula C5H8N2 in a non-equilibrium geometry from the OMol25 dataset. Energies are from wB97M-V/def2-TZVPD.

XYZ file:
```
15
Properties=species:S:1:pos:R:3:forces:R:3:lowdin_charge:R:1
N 0.2477 1.6028 1.9953 0.7 -0.6 -0.6 0.145
C 0.8705 0.9216 1.2979 -0.4 0.4 0.6 -0.254
C 1.6848 0.0617 0.4150 0.0 0.1 0.0 -0.182
C 0.9203 -1.1434 -0.1695 0.0 0.0 0.0 -0.207
C -0.4609 -0.8103 -0.6796 -0.2 0.2 0.2 -0.128
C -0.9885 0.4191 -0.6863 0.2 -0.1 0.0 -0.249
N -2.3631 0.6704 -0.6373 -0.1 0.0 0.0 0.043
H 2.0743 0.6772 -0.4019 0.0 0.1 0.2 0.121
H 2.5370 -0.2552 1.0253 0.0 -0.1 -0.3 0.117
H 0.8016 -1.8892 0.6278 0.0 0.1 -0.1 0.113
H 1.5606 -1.6247 -0.9206 -0.1 0.2 0.1 0.108
H -1.1477 -1.6430 -0.8294 0.1 0.0 0.2 0.103
H -0.3711 1.3125 -0.6952 0.0 -0.1 0.1 0.104
H -2.5706 1.6299 -0.3966 0.0 -0.1 -0.1 0.079
H -2.7948 0.0706 0.0551 -0.2 0.0 -0.3 0.086
```
Positions in Å, forces in eV/Å.

Output
- energy above the lowest of the compared OMol25 structures with the same formula, charge and spin (kcal/mol) = 26.9
- gap between HOMO and LUMO (eV) = 9.1810
- net charge = 0
- spin multiplicity = 1
- structure (SMILES) = N#CCC/C=C/N

2.
Here is one molecule with the formula C5H8N2 in a non-equilibrium geometry from the OMol25 dataset. Energies are from wB97M-V/def2-TZVPD.

XYZ file:
```
15
Properties=species:S:1:pos:R:3:forces:R:3:lowdin_charge:R:1
C -1.2634 -1.2281 0.5645 1.0 0.1 0.4 -0.049
N -0.2122 -0.5962 -0.2487 0.6 0.2 -0.3 -0.133
C 1.0359 -1.0653 0.2229 1.0 0.5 -1.3 -0.196
C 1.9058 -0.0176 0.2423 0.2 -0.2 -0.3 -0.088
C 1.2296 1.1176 -0.2653 -0.3 0.4 0.1 -0.053
C -0.0754 0.7301 -0.5062 0.4 0.4 0.1 -0.383
N -1.1558 1.4739 -0.9219 -0.1 0.1 -0.1 0.131
H -1.8558 -0.4749 1.1161 0.5 -0.2 0.0 0.075
H -2.0060 -1.7668 -0.0772 1.0 -0.3 0.9 0.084
H -0.3250 -1.6401 1.2184 -4.0 -0.8 -0.1 0.126
H 1.2688 -2.0933 -0.0183 0.0 -0.2 0.8 0.119
H 2.9389 -0.0641 0.5534 0.0 0.0 -0.2 0.097
H 1.6580 2.0931 -0.4258 -0.1 0.1 0.1 0.091
H -2.0593 1.0704 -0.7225 0.0 0.1 0.0 0.083
H -1.0842 2.4613 -0.7317 -0.2 -0.1 0.0 0.095
```
Positions in Å, forces in eV/Å.

Output
- energy above the lowest of the compared OMol25 structures with the same formula, charge and spin (kcal/mol) = 52.9
- gap between HOMO and LUMO (eV) = 8.2296
- net charge = 0
- spin multiplicity = 1
- structure (SMILES) = Cn1cccc1N

3.
Here is one molecule with the formula C5H8N2 from the OMol25 dataset. Energies are from wB97M-V/def2-TZVPD.

XYZ file:
```
15
Properties=species:S:1:pos:R:3:forces:R:3:lowdin_charge:R:1
C -0.9038 -0.9117 -0.7102 0.1 -0.1 -0.3 -0.023
C 0.3253 -0.2343 -0.0188 -0.5 -0.1 -0.1 -0.577
N 1.5315 -0.9778 -0.3262 -0.1 0.0 0.3 0.087
C -0.3325 -0.0016 1.3248 0.0 0.0 0.4 -0.129
C -0.8684 1.2505 1.4840 0.5 -0.1 0.0 -0.101
C -0.2520 1.9125 0.3625 0.2 0.1 -0.2 -0.121
N 0.4385 1.1387 -0.4703 -0.3 0.1 0.1 0.084
H -0.5678 -1.3178 -1.6616 -0.1 0.0 -0.2 0.077
H -1.3391 -1.7199 -0.1075 0.3 0.2 -0.1 0.084
H -1.6963 -0.1704 -0.8513 0.2 -0.2 0.0 0.094
H 2.3321 -0.6824 0.2259 -0.2 0.1 0.1 0.085
H 1.3793 -1.9617 -0.1291 0.0 0.1 -0.1 0.082
H -0.5653 -0.9034 1.8947 0.0 0.3 0.1 0.092
H -0.3220 2.9752 0.1223 0.1 -0.2 0.1 0.106
H 0.9817 1.4175 -1.2770 -0.2 0.0 0.1 0.158
```
Positions in Å, forces in eV/Å.

Output
- energy above the lowest of the compared OMol25 structures with the same formula, charge and spin (kcal/mol) = 81.9
- gap between HOMO and LUMO (eV) = 7.4056
- net charge = 0
- spin multiplicity = 1
- structure (SMILES) = C[C@]1(N)C=C=CN1

4.
Here is one molecule with the formula C5H8N2 from the OMol25 dataset. Energies are from wB97M-V/def2-TZVPD.

XYZ file:
```
15
Properties=species:S:1:pos:R:3:forces:R:3:lowdin_charge:R:1
C 0.7274 0.8072 1.5144 0.0 0.0 0.2 -0.039
N 0.2925 0.6565 0.1266 0.2 0.6 -0.3 -0.186
C -0.8400 1.6506 -0.3527 -0.5 -0.5 0.0 -0.044
C -1.5076 0.8040 -1.1858 -0.1 0.3 0.1 -0.201
C -1.0407 -0.5747 -1.1774 0.3 -0.1 0.1 -0.044
C 0.0421 -0.6755 -0.3867 -0.3 0.2 -0.3 -0.355
N 0.9840 -1.6917 -0.1478 -0.1 -0.1 0.1 0.091
H 1.6475 0.2448 1.6842 0.0 0.1 0.0 0.085
********
1.
Here is one molecule with the formula C5H8N2 in a non-equilibrium geometry from the OMol25 dataset. Energies are from wB97M-V/def2-TZVPD.

XYZ file:
```
15
Properties=species:S:1:pos:R:3:forces:R:3:lowdin_charge:R:1
N 0.2477 1.6028 1.9953 0.7 -0.6 -0.6 0.145
C 0.8705 0.9216 1.2979 -0.4 0.4 0.6 -0.254
C 1.6848 0.0617 0.4150 0.0 0.1 0.0 -0.182
C 0.9203 -1.1434 -0.1695 0.0 0.0 0.0 -0.207
C -0.4609 -0.8103 -0.6796 -0.2 0.2 0.2 -0.128
C -0.9885 0.4191 -0.6863 0.2 -0.1 0.0 -0.249
N -2.3631 0.6704 -0.6373 -0.1 0.0 0.0 0.043
H 2.0743 0.6772 -0.4019 0.0 0.1 0.2 0.121
H 2.5370 -0.2552 1.0253 0.0 -0.1 -0.3 0.117
H 0.8016 -1.8892 0.6278 0.0 0.1 -0.1 0.113
H 1.5606 -1.6247 -0.9206 -0.1 0.2 0.1 0.108
H -1.1477 -1.6430 -0.8294 0.1 0.0 0.2 0.103
H -0.3711 1.3125 -0.6952 0.0 -0.1 0.1 0.104
H -2.5706 1.6299 -0.3966 0.0 -0.1 -0.1 0.079
H -2.7948 0.0706 0.0551 -0.2 0.0 -0.3 0.086
```
Positions in Å, forces in eV/Å.

Output
- energy above the lowest of the compared OMol25 structures with the same formula, charge and spin (kcal/mol) = 26.9
- gap between HOMO and LUMO (eV) = 9.1810
- net charge = 0
- spin multiplicity = 1
- structure (SMILES) = N#CCC/C=C/N

2.
Here is one molecule with the formula C5H8N2 in a non-equilibrium geometry from the OMol25 dataset. Energies are from wB97M-V/def2-TZVPD.

XYZ file:
```
15
Properties=species:S:1:pos:R:3:forces:R:3:lowdin_charge:R:1
C -1.2634 -1.2281 0.5645 1.0 0.1 0.4 -0.049
N -0.2122 -0.5962 -0.2487 0.6 0.2 -0.3 -0.133
C 1.0359 -1.0653 0.2229 1.0 0.5 -1.3 -0.196
C 1.9058 -0.0176 0.2423 0.2 -0.2 -0.3 -0.088
C 1.2296 1.1176 -0.2653 -0.3 0.4 0.1 -0.053
C -0.0754 0.7301 -0.5062 0.4 0.4 0.1 -0.383
N -1.1558 1.4739 -0.9219 -0.1 0.1 -0.1 0.131
H -1.8558 -0.4749 1.1161 0.5 -0.2 0.0 0.075
H -2.0060 -1.7668 -0.0772 1.0 -0.3 0.9 0.084
H -0.3250 -1.6401 1.2184 -4.0 -0.8 -0.1 0.126
H 1.2688 -2.0933 -0.0183 0.0 -0.2 0.8 0.119
H 2.9389 -0.0641 0.5534 0.0 0.0 -0.2 0.097
H 1.6580 2.0931 -0.4258 -0.1 0.1 0.1 0.091
H -2.0593 1.0704 -0.7225 0.0 0.1 0.0 0.083
H -1.0842 2.4613 -0.7317 -0.2 -0.1 0.0 0.095
```
Positions in Å, forces in eV/Å.

Output
- energy above the lowest of the compared OMol25 structures with the same formula, charge and spin (kcal/mol) = 52.9
- gap between HOMO and LUMO (eV) = 8.2296
- net charge = 0
- spin multiplicity = 1
- structure (SMILES) = Cn1cccc1N

3.
Here is one molecule with the formula C5H8N2 from the OMol25 dataset. Energies are from wB97M-V/def2-TZVPD.

XYZ file:
```
15
Properties=species:S:1:pos:R:3:forces:R:3:lowdin_charge:R:1
C -0.9038 -0.9117 -0.7102 0.1 -0.1 -0.3 -0.023
C 0.3253 -0.2343 -0.0188 -0.5 -0.1 -0.1 -0.577
N 1.5315 -0.9778 -0.3262 -0.1 0.0 0.3 0.087
C -0.3325 -0.0016 1.3248 0.0 0.0 0.4 -0.129
C -0.8684 1.2505 1.4840 0.5 -0.1 0.0 -0.101
C -0.2520 1.9125 0.3625 0.2 0.1 -0.2 -0.121
N 0.4385 1.1387 -0.4703 -0.3 0.1 0.1 0.084
H -0.5678 -1.3178 -1.6616 -0.1 0.0 -0.2 0.077
H -1.3391 -1.7199 -0.1075 0.3 0.2 -0.1 0.084
H -1.6963 -0.1704 -0.8513 0.2 -0.2 0.0 0.094
H 2.3321 -0.6824 0.2259 -0.2 0.1 0.1 0.085
H 1.3793 -1.9617 -0.1291 0.0 0.1 -0.1 0.082
H -0.5653 -0.9034 1.8947 0.0 0.3 0.1 0.092
H -0.3220 2.9752 0.1223 0.1 -0.2 0.1 0.106
H 0.9817 1.4175 -1.2770 -0.2 0.0 0.1 0.158
```
Positions in Å, forces in eV/Å.

Output
- energy above the lowest of the compared OMol25 structures with the same formula, charge and spin (kcal/mol) = 81.9
- gap between HOMO and LUMO (eV) = 7.4056
- net charge = 0
- spin multiplicity = 1
- structure (SMILES) = C[C@]1(N)C=C=CN1

4.
Here is one molecule with the formula C5H8N2 from the OMol25 dataset. Energies are from wB97M-V/def2-TZVPD.

XYZ file:
```
15
Properties=species:S:1:pos:R:3:forces:R:3:lowdin_charge:R:1
C 0.7274 0.8072 1.5144 0.0 0.0 0.2 -0.039
N 0.2925 0.6565 0.1266 0.2 0.6 -0.3 -0.186
C -0.8400 1.6506 -0.3527 -0.5 -0.5 0.0 -0.044
C -1.5076 0.8040 -1.1858 -0.1 0.3 0.1 -0.201
C -1.0407 -0.5747 -1.1774 0.3 -0.1 0.1 -0.044
C 0.0421 -0.6755 -0.3867 -0.3 0.2 -0.3 -0.355
N 0.9840 -1.6917 -0.1478 -0.1 -0.1 0.1 0.091
H 1.6475 0.2448 1.6842 0.0 0.1 0.0 0.085